Contents:
┌──
# PbAu2 PBE optimized geometry
# DFT total energy: -3.488 eV/atom
# calculated volume: 67 Å³/f.u.
data_PbAu2
_cell_length_a 8.333
_cell_length_b 5.690
_cell_length_c 11.374
_cell_angle_alpha 90.00
_cell_angle_beta 90.00
_cell_angle_gamma 90.00
_symmetry_space_group_name_H-M 'P b c n'
_symmetry_Int_Tables_number 60
loop_
_symmetry_equiv_pos_as_xyz
'x,y,z'
'-x,-y,-z'
'-x+1/2,-y+1/2,z+1/2'
'x+1/2,y+1/2,-z+1/2'
'x+1/2,-y+1/2,-z'
'-x+1/2,y+1/2,z'
'-x,y,-z+1/2'
'x,-y,z+1/2'
loop_
_atom_site_label
_atom_site_fract_x
_atom_site_fract_y
_atom_site_fract_z
Pb1 0.127 0.008 0.126
Au1 0.000 0.483 0.250
Au2 0.000 0.500 0.000
Au3 0.228 0.214 0.875



# Er3Pt PBE optimized geometry
# DFT total energy: -5.673 eV/atom
# calculated volume: 107 Å³/f.u.
data_Er3Pt
_cell_length_a 6.967
_cell_length_b 9.468
_cell_length_c 6.486
_cell_angle_alpha 90.00
_cell_angle_beta 90.00
_cell_angle_gamma 90.00
_symmetry_space_group_name_H-M 'P n m a'
_symmetry_Int_Tables_number 62
loop_
_symmetry_equiv_pos_as_xyz
'x,y,z'
'-x,-y,-z'
'-x+1/2,-y,z+1/2'
'x+1/2,y,-z+1/2'
'x+1/2,-y+1/2,-z+1/2'
'-x+1/2,y+1/2,z+1/2'
'-x,y+1/2,-z'
'x,-y+1/2,z'
loop_
_atom_site_label
_atom_site_fract_x
_atom_site_fract_y
_atom_site_fract_z
Er1 0.027 0.250 0.133
Er2 0.181 0.061 0.679
Pt1 0.110 0.750 0.451
└──

To do:
Next, repeat only the last part of the data earlier on, starting with the line that has "'-x,y,-z+1/2'".

Solution:
'-x,y,-z+1/2'
'x,-y,z+1/2'
loop_
_atom_site_label
_atom_site_fract_x
_atom_site_fract_y
_atom_site_fract_z
Pb1 0.127 0.008 0.126
Au1 0.000 0.483 0.250
Au2 0.000 0.500 0.000
Au3 0.228 0.214 0.875



# Er3Pt PBE optimized geometry
# DFT total energy: -5.673 eV/atom
# calculated volume: 107 Å³/f.u.
data_Er3Pt
_cell_length_a 6.967
_cell_length_b 9.468
_cell_length_c 6.486
_cell_angle_alpha 90.00
_cell_angle_beta 90.00
_cell_angle_gamma 90.00
_symmetry_space_group_name_H-M 'P n m a'
_symmetry_Int_Tables_number 62
loop_
_symmetry_equiv_pos_as_xyz
'x,y,z'
'-x,-y,-z'
'-x+1/2,-y,z+1/2'
'x+1/2,y,-z+1/2'
'x+1/2,-y+1/2,-z+1/2'
'-x+1/2,y+1/2,z+1/2'
'-x,y+1/2,-z'
'x,-y+1/2,z'
loop_
_atom_site_label
_atom_site_fract_x
_atom_site_fract_y
_atom_site_fract_z
Er1 0.027 0.250 0.133
Er2 0.181 0.061 0.679
Pt1 0.110 0.750 0.451